Cruising Tips

[Misplaced materials data]
+++
The following is a DFT calculation (meta-GGA r2SCAN) of an optimized crystal structure of PrEr3.

a = 5.0444 Å, b = 5.0452 Å, c = 5.0452 Å
α = 90.00°, β = 90.00°, γ = 90.00°
With the nearest neighbours (Å) after each atom.
Sites, in units of the cell vectors:
1 Pr 0.0000 0.0000 0.0000  12 Er 3.57
2 Er 0.0000 0.5000 0.5000  8 Er 3.57, 4 Pr 3.57
3 Er 0.5000 0.0000 0.5000  4 Pr 3.57, 8 Er 3.57
4 Er 0.5000 0.5000 0.0000  4 Pr 3.57, 8 Er 3.57

Summary:
The symmetry is Pm-3m. The calculation puts the total energy at -32.7327 eV/atom. The formation energy is 0.062 eV per atom.

The following is a DFT calculation (meta-GGA r2SCAN) of an optimized crystal structure of Tl2S.

a = 9.4916 Å, b = 9.4916 Å, c = 9.4916 Å
α = 81.15°, β = 81.15°, γ = 81.15°
With the nearest neighbours (Å) after each atom.
Sites, in units of the cell vectors:
1 Tl 0.7614 0.7264 0.4329  3 S 2.87-2.98
2 Tl 0.7662 0.0944 0.0600  3 S 2.87-2.98
3 Tl 0.6590 0.6960 0.0341  3 S 2.89-3.05
4 Tl 0.0997 0.4274 0.3937  3 S 2.86-2.98
5 Tl 0.0944 0.0600 0.7662  3 S 2.87-2.98
6 Tl 0.4329 0.7614 0.7264  3 S 2.87-2.98
7 Tl 0.7006 0.3261 0.3623  3 S 2.89-3.05
8 Tl 0.3670 0.9923 0.0295  3 S 2.89-3.05
9 Tl 0.9923 0.0295 0.3670  3 S 2.89-3.05
10 Tl 0.3623 0.7006 0.3261  3 S 2.89-3.05
11 Tl 0.4274 0.3937 0.0997  3 S 2.86-2.98
12 Tl 0.7264 0.4329 0.7614  3 S 2.87-2.98
13 Tl 0.3937 0.0997 0.4274  3 S 2.86-2.98
14 Tl 0.6960 0.0341 0.6590  3 S 2.89-3.05
15 Tl 0.0600 0.7662 0.0944  3 S 2.87-2.98
16 Tl 0.0295 0.3670 0.9923  3 S 2.89-3.05
17 Tl 0.0341 0.6590 0.6960  3 S 2.89-3.05
18 Tl 0.3261 0.3623 0.7006  3 S 2.89-3.05
19 S 0.5352 0.5352 0.5352  6 Tl 2.89-2.98
20 S 0.2016 0.2016 0.2016  6 Tl 2.89-2.98
21 S 0.2476 0.5809 0.9140  6 Tl 2.86-3.05
22 S 0.8740 0.5405 0.2070  6 Tl 2.90-2.96
23 S 0.9140 0.2476 0.5809  6 Tl 2.86-3.05
24 S 0.2070 0.8740 0.5405  6 Tl 2.90-2.96
25 S 0.5809 0.9140 0.2476  6 Tl 2.86-3.05
26 S 0.5405 0.2070 0.8740  6 Tl 2.90-2.96
27 S 0.8682 0.8682 0.8682  6 Tl 2.89-2.98

Summary:
The calculation puts the total energy at -38.5548 eV/atom. The formation energy is -0.424 eV per atom.

The following is a DFT calculation (meta-GGA r2SCAN) of an optimized crystal structure of HfB12.

a = 5.2115 Å, b = 5.2115 Å, c = 5.2115 Å
α = 60.00°, β = 60.00°, γ = 60.00°
With the nearest neighbours (Å) after each atom.
Sites, in units of the cell vectors:
1 Hf 0.0000 0.0000 0.0000  24 B 2.74
2 B 0.8396 0.5000 0.5000  5 B 1.67-1.77
3 B 0.5000 0.5000 0.8396  5 B 1.67-1.77
4 B 0.8396 0.1604 0.5000  5 B 1.67-1.77
5 B 0.5000 0.8396 0.1604  5 B 1.67-1.77
6 B 0.5000 0.1604 0.8396  5 B 1.67-1.77
7 B 0.5000 0.8396 0.5000  5 B 1.67-1.77
8 B 0.8396 0.5000 0.1604  5 B 1.67-1.77
9 B 0.1604 0.8396 0.5000  5 B 1.67-1.77
10 B 0.5000 0.1604 0.5000  5 B 1.67-1.77
11 B 0.1604 0.5000 0.8396  5 B 1.67-1.77
12 B 0.5000 0.5000 0.1604  5 B 1.67-1.77
13 B 0.1604 0.5000 0.5000  5 B 1.67-1.77

Summary:
The symmetry is Fm-3m. The calculation puts the total energy at -10.4483 eV/atom. The formation energy is -0.194 eV per atom.
+++

Sunday, May 13, 2018

RE Mayo - at a dock

It's nice to take all your toys with you
The crossing of the Neuse River was calmer than any time in the past, a piece of cake. Even though we're two weeks late, we continue to be blessed with excellent weather. It can't last all the way home but we hope it does. One would never believe how nasty the Neuse can be given today's weather coming north.

RE Mayo is not for everyone
We arrived at RE Mayo to find that we are the only boat here. That's pretty fortunate since there is only one electrical outlet. When more boats try to plug in with an adapter, the electricity turns off. The outlet can support one boat as long as not too many things are running. It supports one AC unit but not much more. On the other hand, the price is cheap at $0.40/ft with no extra charge for electricity. The place is not for everyone. It is not a marina, just a dock to tie up to and the docks look rather raw. You have to be careful where you step due to debris on the docks.

There are barges of potash shipped on this area of the ICW, very large and long
We like the place due to the seafood you can stock your freezer with. We choose the frozen shrimp mostly. It's caught locally and flash frozen in blister packs, perfect for packing a freezer. Tonight we had friends over for dinner and just enjoyed an evening in the cockpit talking of past times. They brought dinner too!

We will leave Monday morning for the anchorage at Pungo Creek at the south end of the Pungo-Alligator canal. It's a short hop of only about 26 Nm but it stages us for the next leg to Alligator River Marina.


  1. Please mark you notes for fall, and beyond - the crew of Lab Partners are AGLCA Harbor Hosts with a FREE pier to Looper AND friends. We are on Campbell Creek in sight of the ICW with two 30 amp power outlets, no water. 3 miles from Mayos and much more comfortable...especially for Hollie relief. We have room for two boats, or as many as want to anchor out may be have shore duty on land here. As long as we are home, Happy to drive you to Mayos to fill your freezer.
    You are welcome whether we are here or not.
    Didn't reach out to you this trip as I read your were meeting friends for dinner, I assumed you were headed into town. You are your friends would have been welcome here.
    Beth Tyler

  2. Beth, that is very kind of you. Yes, we had dinner on Fleetwing with firiends we’ve known for years but hadn’t seen for a long time. We know where Campbell Creek is, our friends had a house on the ICW just north of Campbell Creek. We'll be back in the fall, perhaps our paths will cross then.
